
MEA keeps you informed of all the news and events that make a difference in your life. This section is always changing, so check it often.

MEA Officer Nominating Petition

It is time once again for Officer elections at MEA. Article V of MEA’s By-Laws detail the regulations that govern our union’s elections. Those regulations call for the announcement of procedures to be used to nominate candidates. If you qualify and would like to run for office, please download the attachment to the right or contact MEA at 619.264.6632. All […]

• Data records from another source follow:
Entry 1:
Theoretical PXRD pattern
Compound: Sr3InBi
Radiation: λ = 1.5418 Å (Cu Kα)
Structure: a cell relaxed with GGA-PBE
Peak positions follow from Bragg's law for the DFT cell and can differ from measured ones.

Structural model:
```
data_Sr3InBi
_symmetry_space_group_name_H-M 'P 1'
_symmetry_Int_Tables_number 1
_symmetry_space_group_name_Hall 'P 1'
_cell_length_a 9.1725
_cell_length_b 9.1725
_cell_length_c 9.7886
_cell_angle_alpha 94.88
_cell_angle_beta 94.88
_cell_angle_gamma 29.37
loop_
_atom_site_label
_atom_site_type_symbol
_atom_site_fract_x
_atom_site_fract_y
_atom_site_fract_z
Sr1 Sr 0.0492 0.0492 0.1722
Sr2 Sr 0.2395 0.2395 0.8226
Sr3 Sr 0.3961 0.3961 0.4186
Sr4 Sr 0.6039 0.6039 0.5814
Sr5 Sr 0.7605 0.7605 0.1774
Sr6 Sr 0.9508 0.9508 0.8278
In1 In 0.2043 0.2043 0.4215
In2 In 0.7957 0.7957 0.5785
Bi1 Bi 0.3931 0.3931 0.0727
Bi2 Bi 0.6069 0.6069 0.9273
```

Largest 6 diffraction maxima, low angle first, 2θ from 15° to 90°:
two_theta, Rel. int.
25.59, 100
26.66, 42
28.42, 42
31.80, 79
34.40, 62
38.73, 42



Entry 2:
Theoretical PXRD pattern
Compound: Sr3In2Bi3
Radiation: λ = 1.5418 Å (Cu Kα)
Structure: a cell relaxed with GGA-PBE
Peak positions follow from Bragg's law for the DFT cell and can differ from measured ones.

Structural model:
```
data_Sr3In2Bi3
_symmetry_space_group_name_H-M 'P 1'
_symmetry_Int_Tables_number 1
_symmetry_space_group_name_Hall 'P 1'
_cell_length_a 6.8604
_cell_length_b 6.8604
_cell_length_c 16.2232
_cell_angle_alpha 90.00
_cell_angle_beta 90.00
_cell_angle_gamma 133.74
loop_
_atom_site_label
_atom_site_type_symbol
_atom_site_fract_x
_atom_site_fract_y
_atom_site_fract_z
Sr1 Sr 0.0540 0.9460 0.7500
Sr2 Sr 0.1456 0.8544 0.0326
Sr3 Sr 0.1456 0.8544 0.4674
Sr4 Sr 0.8544 0.1456 0.5326
Sr5 Sr 0.8544 0.1456 0.9674
Sr6 Sr 0.9460 0.0540 0.2500
In1 In 0.3128 0.6872 0.6526
In2 In 0.3128 0.6872 0.8474
In3 In 0.6872 0.3128 0.1526
In4 In 0.6872 0.3128 0.3474
Bi1 Bi 0.2247 0.7753 0.2500
Bi2 Bi 0.4468 0.5532 0.0897
Bi3 Bi 0.4468 0.5532 0.4103
Bi4 Bi 0.5532 0.4468 0.5897
Bi5 Bi 0.5532 0.4468 0.9103
Bi6 Bi 0.7753 0.2247 0.7500
```

Largest 6 diffraction maxima, low angle first, 2θ from 15° to 90°:
two_theta, Rel. int.
17.85, 63
28.43, 76
28.83, 57
31.65, 100
33.00, 62
33.24, 62

=====

Simulated X-ray diffraction stick pattern of Er4Lu4B3 for CuKα, from DFT lattice parameters and positions (GGA-PBE).
No peak broadening, texture or thermal motion is included.

Most intense lines, 2θ from 15° to 90°, sorted by position:
| two_theta | intensity |
| --- | --- |
| 27.69 | 50 |
| 32.20 | 100 |
| 32.42 | 76 |
| 32.55 | 33 |
| 33.36 | 60 |
| 33.54 | 68 |
| 37.40 | 48 |
| 37.67 | 57 |
| 51.51 | 32 |
| 53.46 | 46 |

Structure:
a = 3.483 Å, b = 4.811 Å, c = 14.993 Å
α = 82.54°, β = 83.38°, γ = 89.99°
Sites, in units of the cell vectors:
Er  0.039  0.329  0.421
Er  0.292  0.011  0.916
Er  0.708  0.989  0.084
Er  0.961  0.671  0.579
Lu  0.156  0.437  0.188
Lu  0.411  0.097  0.678
Lu  0.589  0.903  0.322
Lu  0.844  0.563  0.812


Update from Ann M. Smith Regarding the Purchase of Service Credit Case

### Next to the text, the page also holds records of crystals
+++
(1)
The following is a theoretical XRD peak list of Sr2LaTi2Nb3O15. It was derived from a DFT-relaxed cell (GGA-PBE, Alexandria), using Cu Kα (λ = 1.5418 Å).

Principal peaks in the range 2θ from 15° to 90°, sorted by position:
h k l	Position (°2θ)	d_spacing	I/Imax
1 2 0	15.8	5.609	28
2 3 0	25.6	3.482	35
1 2 1	27.6	3.235	52
4 1 0	29.5	3.029	28
2 4 0	31.9	2.808	100
3 1 1	32.0	2.797	74
3 2 1	34.3	2.611	22
0 0 2	45.8	1.980	38
6 2 0	45.9	1.976	22
5 5 1	56.9	1.618	46

Structure:
a b c (Å): 12.484 12.589 3.961
angles (deg): 90.00 90.00 90.00
Space group Pbam (No. 55)
Symmetry-distinct sites (fractional):
Sr (0.206, 0.122, 0.000) [4 per cell]
La (0.000, 0.500, 0.000) [2 per cell]
Ti (0.208, 0.415, 0.500) [4 per cell]
Nb (0.000, 0.000, 0.500) [2 per cell]
Nb (0.078, 0.716, 0.500) [4 per cell]
O (0.000, 0.000, 0.000) [2 per cell]
O (0.015, 0.160, 0.500) [4 per cell]
O (0.056, 0.378, 0.500) [4 per cell]
O (0.083, 0.699, 0.000) [4 per cell]
O (0.147, 0.570, 0.500) [4 per cell]
O (0.159, 0.996, 0.500) [4 per cell]
O (0.196, 0.431, 0.000) [4 per cell]
O (0.227, 0.776, 0.500) [4 per cell]

---

(2)
The following is a theoretical XRD peak list of La3Pr3Y. It was derived from a DFT-relaxed cell (GGA-PBE, Alexandria), using Cu Kα (λ = 1.5418 Å).

Principal peaks in the range 2θ from 15° to 90°, sorted by position:
h k l	Position (°2θ)	d_spacing	I/Imax
2 1 0	27.4	3.254	23
0 0 2	29.9	2.987	25
2 1 1	31.3	2.858	100
2 1 2	41.0	2.201	16
1 4 0	48.5	1.879	20
2 1 3	54.0	1.699	21
1 4 2	58.0	1.590	23
4 2 1	58.8	1.570	16
7 0 1	79.6	1.205	14
1 4 4	82.5	1.169	8

Structure:
a b c (Å): 9.9416 9.9416 5.9746
angles (deg): 90.00 90.00 120.00
Space group P6_3/m (No. 176)
Symmetry-distinct sites (fractional):
La (0.0963, 0.4764, 0.2500) [6 per cell]
Pr (0.0456, 0.2384, 0.7500) [6 per cell]
Y (0.3333, 0.6667, 0.7500) [2 per cell]

---

(3)
The following is a theoretical XRD peak list of Pr4O. It was derived from a DFT-relaxed cell (GGA-PBE, Alexandria), using Cu Kα (λ = 1.5418 Å).

Principal peaks in the range 2θ from 15° to 90°, sorted by position:
h k l	Position (°2θ)	d_spacing	I/Imax
1 1 2	28.2	3.163	100
4 0 0	32.5	2.759	16
0 2 0	32.8	2.729	32
4 2 0	46.8	1.940	13
2 2 -4	47.1	1.930	13
7 1 -2	55.3	1.662	7
5 1 2	55.4	1.658	7
3 3 -2	55.8	1.649	15
1 1 -6	55.8	1.646	15
4 2 -8	78.3	1.221	7

Structure:
a b c (Å): 12.334 5.459 10.919
angles (deg): 90.00 116.53 90.00
Space group C2/c (No. 15)
Symmetry-distinct sites (fractional):
Pr (0.119, 0.002, 0.186) [8 per cell]
Pr (0.119, 0.496, 0.933) [8 per cell]
O (0.000, 0.246, 0.750) [4 per cell]

---

(4)
The following is a theoretical XRD peak list of CaAu6. It was derived from a DFT-relaxed cell (GGA-PBE, Alexandria), using Cu Kα (λ = 1.5418 Å).

Principal peaks in the range 2θ from 15° to 90°, sorted by position:
h k l	Position (°2θ)	d_spacing	I/Imax
1 1 1	20.2	4.399	63
1 0 4	33.4	2.683	50
3 1 1	34.4	2.609	65
2 1 3	34.8	2.575	34
3 0 3	38.0	2.367	41
2 2 1	38.5	2.338	53
4 0 1	40.1	2.247	61
2 1 4	41.0	2.200	85
1 2 3	41.4	2.179	100
+++
### The records of crystals stop here

Dear All: This message is in follow-up to my last e-mail messages in late June related to the Fourth District Court of Appeal’s decision in the case between the City and SDCERS over service credits actually purchased or for which an application for purchase was submitted during the period of August 15, 2003, through November 1, 2003. At its July […]


June 2010 Election Night Coverage

Like most important elections, June 8th was an event filled with excitement and anticipation. A small group of MEA representatives, including First and Second Vice Presidents Bob Cronk and Jan Lord and MEA staff member Cathleen Higgins, spent the day lending their support to MEA-endorsed candidates Howard Wayne in San Diego City Council District 6 and David Alvarez in District 8. […]


San Diego Fire Rescue Department Highlight

When an emergency takes place, the first to arrive on the scene tend to get the credit. Yet often the unsung heroes are the dispatchers who assist and support the callers, all while simultaneously sending the necessary emergency teams out. Time and again, the dispatchers are the crucial element in the life-saving process. In the early years, calls to the […]


Introducing Your By-Laws Committee

In order to determine exactly what the Bylaws Committee is all about, we need to take a look at the definition of “bylaws” from Webster’s Dictionary. “Bylaws (n.) are the written rules for conduct of a corporation, association, partnership or any organization. Bylaws generally provide for meetings, elections of a board of directors and officers, filling vacancies, notices, types and […]


National Dispatchers Week 2010

MEA would like to thank all of its dispatchers in Police, Fire and Environmental Services who serve as the first and most critical link between the public and emergency services. Those that respond to an emergency rely on the dispatcher’s concise and accurate information in order to provide appropriate and often life-saving services. Dispatchers perform their duties and tasks in […]


MEA Comes to You: January’s MOU Distribution a Big Hit

MEA Board members and staff enjoyed meeting and talking with members during the numerous site visits to distribute your MOU for Fiscal Years 2010 and 2011. We hope it allowed you to take a short break from your busy workday to enjoy some pizza and/or donuts and to speak directly with your MEA leadership and union colleagues. We greatly appreciate […]


Labor Representative Cases, Second Quarter of 2010

Written Reprimand Removed from MEA Employee’s File MEA Senior Labor Relations Representative Kelly Cruz represented a 22 year City employee who was facing serious discipline due to an alleged violation of Administrative Regulation 90.62 – Email and Internet Usage. After the supposed violation took place, the member’s Deputy Director and Department Director orally counseled the employee on his lack of […]


Know Your Rights, Second Quarter of 2010

Crystal structures that have nothing to do with the text:
Starting from a cell relaxed with PBE, the PXRD pattern of Cs2SmCrS4 was calculated for a wavelength of 1.5418 Å.
No peak broadening, texture or thermal motion is included.

Main lines, sorted by position (15 to 90 degrees two-theta):
- (1 1 1), 2θ = 15.26°, rel. 38
- (1 1 5), 2θ = 22.76°, rel. 33
- (1 3 1), 2θ = 23.28°, rel. 39
- (0 2 6), 2θ = 24.08°, rel. 100
- (0 4 0), 2θ = 24.82°, rel. 36
- (1 3 3), 2θ = 25.26°, rel. 34
- (1 3 5), 2θ = 28.84°, rel. 68
- (2 2 0), 2θ = 29.99°, rel. 56
- (2 0 6), 2θ = 34.37°, rel. 59
- (2 4 6), 2θ = 42.87°, rel. 41

Cell and atoms:
```
data_Cs2SmCrS4
_chemical_formula_sum 'Cs16 Sm8 Cr8 S32'
_symmetry_space_group_name_H-M 'F d d d'
_symmetry_Int_Tables_number 70
_cell_length_a 6.5500
_cell_length_b 14.3478
_cell_length_c 25.8717
_cell_angle_alpha 90.00
_cell_angle_beta 90.00
_cell_angle_gamma 90.00
loop_
_symmetry_equiv_pos_as_xyz
'x,y,z'
'-x,-y,-z'
'-x+1/4,-y+1/4,z'
'x+1/4,y+1/4,-z'
'x,-y+1/4,-z+1/4'
'-x,y+1/4,z+1/4'
'-x+1/4,y,-z+1/4'
'x+1/4,-y,z+1/4'
'x,y+1/2,z+1/2'
'-x,-y+1/2,-z+1/2'
'-x+1/4,-y+3/4,z+1/2'
'x+1/4,y+3/4,-z+1/2'
'x,-y+3/4,-z+3/4'
'-x,y+3/4,z+3/4'
'-x+1/4,y+1/2,-z+3/4'
'x+1/4,-y+1/2,z+3/4'
'x+1/2,y,z+1/2'
'-x+1/2,-y,-z+1/2'
'-x+3/4,-y+1/4,z+1/2'
'x+3/4,y+1/4,-z+1/2'
'x+1/2,-y+1/4,-z+3/4'
'-x+1/2,y+1/4,z+3/4'
'-x+3/4,y,-z+3/4'
'x+3/4,-y,z+3/4'
'x+1/2,y+1/2,z'
'-x+1/2,-y+1/2,-z'
'-x+3/4,-y+3/4,z'
'x+3/4,y+3/4,-z'
'x+1/2,-y+3/4,-z+1/4'
'-x+1/2,y+3/4,z+1/4'
'-x+3/4,y+1/2,-z+1/4'
'x+3/4,-y+1/2,z+1/4'
loop_
_atom_site_label
_atom_site_fract_x
_atom_site_fract_y
_atom_site_fract_z
Cs1 0.1250 0.1250 0.3048
Sm1 0.1250 0.1250 0.1250
Cr1 0.1250 0.1250 0.6250
S1 0.0850 0.2825 0.8269
```

=====

For NaLaMg14, a crystal structure in the Materials Project, relaxed with PBE gives the computed PXRD pattern in this record (copper Kα).
Kinematic intensities with the Lorentz-polarization factor, no thermal factor.

Largest 10 diffraction maxima, by intensity, 10° ≤ 2θ ≤ 80°:
2theta  I (rel.)
35.56  100
17.56  34
30.95  27
34.52  24
15.33  21
66.63  19
23.02  19
62.53  18
55.06  18
47.04  17

Cell and atoms:
```
NaLaMg14
1.0
6.672 0.000 0.000
-3.336 5.778 0.000
0.000 0.000 10.392
Na La Mg
1 1 14
direct
0.000 0.000 0.000
0.000 0.000 0.500
0.002 0.501 0.000
0.008 0.504 0.500
0.170 0.340 0.247
0.170 0.340 0.753
0.170 0.830 0.247
0.170 0.830 0.753
0.496 0.504 0.500
0.496 0.992 0.500
0.499 0.501 0.000
0.499 0.998 0.000
0.660 0.830 0.247
0.660 0.830 0.753
0.667 0.333 0.253
0.667 0.333 0.747
```



For NaLaMg14O16, a crystal structure in the Materials Project, relaxed with PBE gives the computed PXRD pattern in this record (copper Kα).
Kinematic intensities with the Lorentz-polarization factor, no thermal factor.

Largest 10 diffraction maxima, by intensity, 10° ≤ 2θ ≤ 80°:
2theta  I (rel.)
41.02  100
40.87  97
41.50  93
35.42  64
59.29  57
59.78  55
59.66  54
22.60  52
74.95  49
14.29  43

Cell and atoms:
```
NaLaMg14O16
1.0
4.400 0.000 0.000
0.000 8.704 0.000
0.000 0.000 8.832
Na La Mg O
1 1 14 16
direct
0.000 0.000 0.000

Recently, a member was told that they could not exercise their right to utilize Tuition Reimbursement due to budget shortfalls, even though the employee had followed all of the proper procedures. Administrative Regulation 70.30, Section 2.1 states the following: “Eligible employees will be reimbursed for 100% of tuition and mandatory fees, and for textbooks and supplies under certain conditions, up […]